Data:
~~~
{"formula": "Cs2AlWF6", "functional": "PBE with a Hubbard U", "state": "optimized geometry", "lattice": [[-3.2391, 3.2391, 4.8654], [3.2391, -3.2391, 4.8654], [3.2391, 3.2391, -4.8654]], "species": ["Cs", "Cs", "Al", "W", "F", "F", "F", "F", "F", "F"], "fractional_positions": [[0.2500, 0.7500, 0.5000], [0.7500, 0.2500, 0.5000], [0.0000, 0.0000, 0.0000], [0.5000, 0.5000, 0.0000], [0.2671, 0.2671, 0.5341], [0.2671, 0.7329, 0.0000], [0.2817, 0.2817, 0.0000], [0.7183, 0.7183, 0.0000], [0.7329, 0.2671, 0.0000], [0.7329, 0.7329, 0.4659]], "total_energy_ev_per_atom": -4.830}

~~~~~

No. 1
Material: Y3Tc
Method: DFT, PBE-GGA
State: relaxed

The structure in extended XYZ format:
```
4
Lattice="-2.793 -0.515 2.023 -0.222 -8.888 -5.576 0.386 -1.332 3.199" Properties=species:S:1:pos:R:3 pbc="T T T"
Tc 0.000 0.000 0.000
Y -1.806 -3.101 2.726
Y -0.823 -7.634 -3.081
Y -1.314 -5.368 -0.177
```

Uncorrected energy: -7.237 eV per atom
Size of the total moment: 0.0 Bohr magnetons per cell
SG: R-3m

---

No. 2
Material: Li2AlW
Method: DFT, PBE-GGA
State: relaxed

The structure in extended XYZ format:
```
4
Lattice="-2.560 -0.159 -0.564 -0.754 -2.074 4.011 -0.786 4.650 2.256" Properties=species:S:1:pos:R:3 pbc="T T T"
Li -0.385 2.275 1.104
W -1.853 0.046 2.288
Li -0.008 0.050 0.024
Al -2.247 2.371 3.416
```

Uncorrected energy: -4.757 eV per atom
Size of the total moment: 0.0 Bohr magnetons per cell
SG: Pmmm

---

No. 3
Material: Cs2PuMgBr6
Method: DFT, PBE-GGA
State: relaxed

The structure in extended XYZ format:
```
20
Lattice="-6.563 -4.441 1.392 3.200 -2.559 6.924 -4.779 8.770 5.449" Properties=species:S:1:pos:R:3 pbc="T T T"
Br -4.072 3.196 3.162
Cs -2.785 5.938 5.817
Pu -2.480 -2.861 2.430
Br -7.203 1.078 3.826
Br -5.677 -0.146 7.133
Cs -2.076 -1.947 7.252
Br -1.239 4.758 9.341
Br -3.730 -0.569 3.851
Br 0.070 -2.370 3.876
Br -6.012 3.618 6.453
Br 1.259 0.175 6.493
Br -1.832 -5.914 7.910
Cs -0.395 1.553 3.093
Br 1.600 -3.591 7.182
Br -2.542 1.976 6.468
Mg -4.872 1.525 5.149
Pu 0.009 2.467 7.915
Cs -4.466 2.438 9.976
Br -3.358 -4.690 4.603
Mg 2.401 -1.920 5.195
```

Uncorrected energy: -4.347 eV per atom
Size of the total moment: 12.0 Bohr magnetons per cell
SG: Pmmn

---

No. 4
Material: Nd7Sm2Dy3
Method: DFT, PBE-GGA
State: relaxed

The structure in extended XYZ format:
```
12
Lattice="-1.172 -0.524 3.344 6.094 -1.140 1.957 6.506 16.341 4.840" Properties=species:S:1:pos:R:3 pbc="T T T"
Nd 4.147 7.717 4.581
Nd 7.281 6.960 5.561
Dy 9.682 9.766 4.923
Nd 0.865 2.462 2.607
Dy 2.918 5.435 1.874
Sm 5.289 4.429 4.466
Nd 0.000 0.000 0.000
~~~

Assignment:
It remains to repeat the whole of the rows above exactly.

Solution:
{"formula": "Cs2AlWF6", "functional": "PBE with a Hubbard U", "state": "optimized geometry", "lattice": [[-3.2391, 3.2391, 4.8654], [3.2391, -3.2391, 4.8654], [3.2391, 3.2391, -4.8654]], "species": ["Cs", "Cs", "Al", "W", "F", "F", "F", "F", "F", "F"], "fractional_positions": [[0.2500, 0.7500, 0.5000], [0.7500, 0.2500, 0.5000], [0.0000, 0.0000, 0.0000], [0.5000, 0.5000, 0.0000], [0.2671, 0.2671, 0.5341], [0.2671, 0.7329, 0.0000], [0.2817, 0.2817, 0.0000], [0.7183, 0.7183, 0.0000], [0.7329, 0.2671, 0.0000], [0.7329, 0.7329, 0.4659]], "total_energy_ev_per_atom": -4.830}

~~~~~

No. 1
Material: Y3Tc
Method: DFT, PBE-GGA
State: relaxed

The structure in extended XYZ format:
```
4
Lattice="-2.793 -0.515 2.023 -0.222 -8.888 -5.576 0.386 -1.332 3.199" Properties=species:S:1:pos:R:3 pbc="T T T"
Tc 0.000 0.000 0.000
Y -1.806 -3.101 2.726
Y -0.823 -7.634 -3.081
Y -1.314 -5.368 -0.177
```

Uncorrected energy: -7.237 eV per atom
Size of the total moment: 0.0 Bohr magnetons per cell
SG: R-3m

---

No. 2
Material: Li2AlW
Method: DFT, PBE-GGA
State: relaxed

The structure in extended XYZ format:
```
4
Lattice="-2.560 -0.159 -0.564 -0.754 -2.074 4.011 -0.786 4.650 2.256" Properties=species:S:1:pos:R:3 pbc="T T T"
Li -0.385 2.275 1.104
W -1.853 0.046 2.288
Li -0.008 0.050 0.024
Al -2.247 2.371 3.416
```

Uncorrected energy: -4.757 eV per atom
Size of the total moment: 0.0 Bohr magnetons per cell
SG: Pmmm

---

No. 3
Material: Cs2PuMgBr6
Method: DFT, PBE-GGA
State: relaxed

The structure in extended XYZ format:
```
20
Lattice="-6.563 -4.441 1.392 3.200 -2.559 6.924 -4.779 8.770 5.449" Properties=species:S:1:pos:R:3 pbc="T T T"
Br -4.072 3.196 3.162
Cs -2.785 5.938 5.817
Pu -2.480 -2.861 2.430
Br -7.203 1.078 3.826
Br -5.677 -0.146 7.133
Cs -2.076 -1.947 7.252
Br -1.239 4.758 9.341
Br -3.730 -0.569 3.851
Br 0.070 -2.370 3.876
Br -6.012 3.618 6.453
Br 1.259 0.175 6.493
Br -1.832 -5.914 7.910
Cs -0.395 1.553 3.093
Br 1.600 -3.591 7.182
Br -2.542 1.976 6.468
Mg -4.872 1.525 5.149
Pu 0.009 2.467 7.915
Cs -4.466 2.438 9.976
Br -3.358 -4.690 4.603
Mg 2.401 -1.920 5.195
```

Uncorrected energy: -4.347 eV per atom
Size of the total moment: 12.0 Bohr magnetons per cell
SG: Pmmn

---

No. 4
Material: Nd7Sm2Dy3
Method: DFT, PBE-GGA
State: relaxed

The structure in extended XYZ format:
```
12
Lattice="-1.172 -0.524 3.344 6.094 -1.140 1.957 6.506 16.341 4.840" Properties=species:S:1:pos:R:3 pbc="T T T"
Nd 4.147 7.717 4.581
Nd 7.281 6.960 5.561
Dy 9.682 9.766 4.923
Nd 0.865 2.462 2.607
Dy 2.918 5.435 1.874
Sm 5.289 4.429 4.466
Nd 0.000 0.000 0.000